• Listing:
+++
Computed, not measured: the ion C27H44Cl2F3N2O6 with charge -1 in a non-equilibrium geometry, with ωB97M-V/def2-TZVPD.

Output
- HOMO: -5.12 eV
- HOMO-LUMO gap: 7.55 eV
- SMILES string: CCCCCCCCCC[C@]1(C(=O)[O-])O[C@@](N)(N(C(=O)F)C(=O)F)[C@@](C[C@H](C)Cl)(OC[C@H](C)CC(C)C)[C@]1(F)Cl

```
! RIJCOSX wB97M-V def2-TZVPD def2/J DEFGRID3
* xyz -1 1
C 2.43 -5.37 -0.06
C 3.56 -4.32 0.05
C 3.50 -3.62 1.42
C 4.57 -4.10 2.43
C 4.87 -2.98 3.43
C 3.64 -2.60 4.28
C 3.38 -1.07 4.33
C 1.96 -0.70 3.89
C 1.90 -0.18 2.45
C 0.63 -0.73 1.76
C 0.63 -0.30 0.30
C 1.34 -1.52 -0.41
O 2.43 -1.32 -0.98
O 0.77 -2.62 -0.31
O 1.41 0.84 -0.06
C 0.70 1.90 -0.68
N 1.30 3.04 -0.07
N 0.94 1.74 -2.12
C 2.33 1.53 -2.45
O 3.27 2.19 -2.12
F 2.48 0.51 -3.27
C 0.38 2.76 -2.92
O -0.07 2.56 -4.02
F 0.37 4.01 -2.42
C -0.76 1.51 -0.32
C -0.99 1.88 1.17
C -1.38 3.35 1.39
C -0.71 3.89 2.68
Cl -3.16 3.51 1.68
O -1.75 2.25 -1.03
C -2.59 1.48 -1.89
C -3.51 2.45 -2.63
C -4.52 3.03 -1.60
C -4.21 1.79 -3.81
C -4.87 0.42 -3.49
C -6.32 0.42 -3.99
C -4.07 -0.70 -4.18
C -0.74 -0.02 -0.43
F -0.58 -0.55 -1.67
Cl -2.05 -0.94 0.35
H 2.81 -6.25 -0.60
H 2.10 -5.70 0.93
H 1.57 -4.98 -0.59
H 3.37 -3.57 -0.71
H 4.52 -4.80 -0.12
H 3.61 -2.55 1.25
H 2.52 -3.78 1.85
H 4.27 -5.02 2.93
H 5.48 -4.30 1.86
H 5.70 -3.30 4.07
H 5.19 -2.10 2.87
H 3.76 -3.01 5.28
H 2.74 -3.05 3.86
H 3.56 -0.76 5.37
H 4.12 -0.53 3.75
H 1.56 0.03 4.60
H 1.32 -1.58 3.98
H 1.76 0.91 2.51
H 2.79 -0.40 1.87
H 0.67 -1.81 1.87
H -0.21 -0.35 2.35
H 0.81 3.91 -0.24
H 1.48 2.90 0.91
H -0.09 1.70 1.74
H -1.77 1.28 1.60
H -1.08 4.01 0.60
H -0.50 4.95 2.52
H 0.24 3.41 2.89
H -1.38 3.86 3.53
H -1.96 1.00 -2.64
H -3.23 0.78 -1.35
H -2.87 3.27 -2.96
H -4.57 2.37 -0.74
H -4.16 3.98 -1.23
H -5.52 3.13 -2.02
H -5.02 2.46 -4.11
H -3.55 1.75 -4.67
H -4.92 0.28 -2.41
H -6.71 -0.59 -4.07
H -6.94 0.92 -3.25
H -6.44 0.99 -4.91
H -3.63 -0.32 -5.10
H -4.68 -1.57 -4.41
H -3.23 -0.98 -3.55
*
```

Computed, not measured: a structure of composition C27H44F6OP2Sn in a non-equilibrium geometry, with ωB97M-V/def2-TZVPD.

Output
- HOMO (alpha / beta): -11.27 / -11.27 eV
- Energy above the lowest of the compared OMol25 structures with the same formula, charge and spin: 226.2 kcal/mol
- HOMO-LUMO gap (alpha / beta): 3.67 / 3.67 eV

```
! RIJCOSX wB97M-V def2-TZVPD def2/J DEFGRID3
* xyz 2 1
Sn 1.60 -0.84 0.71
C -2.79 2.99 -0.65
C -3.11 1.74 -1.24
C -4.26 1.93 0.75
C -3.49 3.11 0.56
C -4.04 1.09 -0.37
C -1.89 4.02 -1.24
H -1.11 3.56 -1.86
H -1.39 4.59 -0.44
H -2.44 4.73 -1.87
C -3.44 4.25 1.51
H -2.99 5.13 1.04
H -2.85 4.00 2.40
H -4.45 4.52 1.85
C -5.09 1.61 1.92
H -5.51 2.52 2.37
H -4.50 1.10 2.70
H -5.92 0.95 1.64
C -4.65 -0.24 -0.57
H -5.71 -0.22 -0.28
H -4.15 -1.00 0.06
H -4.58 -0.56 -1.61
C -2.62 1.23 -2.53
H -3.08 1.76 -3.38
H -2.85 0.16 -2.64
H -1.53 1.35 -2.62
C 3.41 -1.36 0.10
C 2.95 -0.40 -0.89
C 2.06 -0.62 -2.07
C 0.54 -0.41 -1.81
C 0.14 -1.21 -0.56
C 0.77 -2.53 -0.57
C 1.81 -3.25 0.24
C 3.30 -2.83 -0.12
H 2.18 -1.64 -2.44
H 0.02 -0.84 -2.68
H 2.41 0.06 -2.85
H 3.55 -3.08 -1.17
H 4.21 -1.00 0.75
H 3.71 0.39 -1.13
H 3.96 -3.36 0.58
H 1.71 -3.11 1.35
H 0.63 -3.04 -1.58
H 1.67 -4.32 0.14
H 0.25 0.64 -1.77
H -0.91 -1.04 -0.27
P 4.33 2.56 -1.74
C 5.85 2.03 -0.93
C 3.77 2.82 -3.43
P -0.69 -4.65 -1.62
C 3.11 2.48 -0.57
C 0.46 -6.07 -1.66
C -1.22 -4.85 0.12
H 5.70 1.81 0.15
H 6.47 2.93 -1.06
H 6.30 1.15 -1.43
H 2.76 2.43 -3.66
H 4.50 2.42 -4.15
H 3.78 3.93 -3.44
H -0.62 -5.58 0.68
H -2.29 -5.12 0.15
H -1.09 -3.85 0.54
H 2.04 2.41 -0.74
H 3.31 2.27 0.49
H 0.63 -6.55 -0.69
H 1.40 -5.65 -2.05
H 0.10 -6.83 -2.38
C 0.76 0.88 4.30
C 0.22 0.13 3.10
O 0.82 0.59 1.91
C 0.44 -1.38 3.34
F 0.05 -1.80 4.55
F -0.19 -2.19 2.40
F 1.81 -1.68 3.24
C -1.30 0.37 2.90
F -1.79 -0.26 1.79
F -2.06 -0.05 3.95
F -1.57 1.70 2.71
H 1.83 0.65 4.42
H 0.23 0.52 5.19
H 0.62 1.95 4.18
*
```

Computed, not measured: a structure of composition C27H45AsCrN3OSi3 in a non-equilibrium geometry, with ωB97M-V/def2-TZVPD.

Output
- HOMO (alpha / beta): -13.92 / -13.21 eV
+++

• Assignment:
Next, give back the whole of the lines further above word for word.

• Solution:
Computed, not measured: the ion C27H44Cl2F3N2O6 with charge -1 in a non-equilibrium geometry, with ωB97M-V/def2-TZVPD.

Output
- HOMO: -5.12 eV
- HOMO-LUMO gap: 7.55 eV
- SMILES string: CCCCCCCCCC[C@]1(C(=O)[O-])O[C@@](N)(N(C(=O)F)C(=O)F)[C@@](C[C@H](C)Cl)(OC[C@H](C)CC(C)C)[C@]1(F)Cl

```
! RIJCOSX wB97M-V def2-TZVPD def2/J DEFGRID3
* xyz -1 1
C 2.43 -5.37 -0.06
C 3.56 -4.32 0.05
C 3.50 -3.62 1.42
C 4.57 -4.10 2.43
C 4.87 -2.98 3.43
C 3.64 -2.60 4.28
C 3.38 -1.07 4.33
C 1.96 -0.70 3.89
C 1.90 -0.18 2.45
C 0.63 -0.73 1.76
C 0.63 -0.30 0.30
C 1.34 -1.52 -0.41
O 2.43 -1.32 -0.98
O 0.77 -2.62 -0.31
O 1.41 0.84 -0.06
C 0.70 1.90 -0.68
N 1.30 3.04 -0.07
N 0.94 1.74 -2.12
C 2.33 1.53 -2.45
O 3.27 2.19 -2.12
F 2.48 0.51 -3.27
C 0.38 2.76 -2.92
O -0.07 2.56 -4.02
F 0.37 4.01 -2.42
C -0.76 1.51 -0.32
C -0.99 1.88 1.17
C -1.38 3.35 1.39
C -0.71 3.89 2.68
Cl -3.16 3.51 1.68
O -1.75 2.25 -1.03
C -2.59 1.48 -1.89
C -3.51 2.45 -2.63
C -4.52 3.03 -1.60
C -4.21 1.79 -3.81
C -4.87 0.42 -3.49
C -6.32 0.42 -3.99
C -4.07 -0.70 -4.18
C -0.74 -0.02 -0.43
F -0.58 -0.55 -1.67
Cl -2.05 -0.94 0.35
H 2.81 -6.25 -0.60
H 2.10 -5.70 0.93
H 1.57 -4.98 -0.59
H 3.37 -3.57 -0.71
H 4.52 -4.80 -0.12
H 3.61 -2.55 1.25
H 2.52 -3.78 1.85
H 4.27 -5.02 2.93
H 5.48 -4.30 1.86
H 5.70 -3.30 4.07
H 5.19 -2.10 2.87
H 3.76 -3.01 5.28
H 2.74 -3.05 3.86
H 3.56 -0.76 5.37
H 4.12 -0.53 3.75
H 1.56 0.03 4.60
H 1.32 -1.58 3.98
H 1.76 0.91 2.51
H 2.79 -0.40 1.87
H 0.67 -1.81 1.87
H -0.21 -0.35 2.35
H 0.81 3.91 -0.24
H 1.48 2.90 0.91
H -0.09 1.70 1.74
H -1.77 1.28 1.60
H -1.08 4.01 0.60
H -0.50 4.95 2.52
H 0.24 3.41 2.89
H -1.38 3.86 3.53
H -1.96 1.00 -2.64
H -3.23 0.78 -1.35
H -2.87 3.27 -2.96
H -4.57 2.37 -0.74
H -4.16 3.98 -1.23
H -5.52 3.13 -2.02
H -5.02 2.46 -4.11
H -3.55 1.75 -4.67
H -4.92 0.28 -2.41
H -6.71 -0.59 -4.07
H -6.94 0.92 -3.25
H -6.44 0.99 -4.91
H -3.63 -0.32 -5.10
H -4.68 -1.57 -4.41
H -3.23 -0.98 -3.55
*
```

Computed, not measured: a structure of composition C27H44F6OP2Sn in a non-equilibrium geometry, with ωB97M-V/def2-TZVPD.

Output
- HOMO (alpha / beta): -11.27 / -11.27 eV
- Energy above the lowest of the compared OMol25 structures with the same formula, charge and spin: 226.2 kcal/mol
- HOMO-LUMO gap (alpha / beta): 3.67 / 3.67 eV

```
! RIJCOSX wB97M-V def2-TZVPD def2/J DEFGRID3
* xyz 2 1
Sn 1.60 -0.84 0.71
C -2.79 2.99 -0.65
C -3.11 1.74 -1.24
C -4.26 1.93 0.75
C -3.49 3.11 0.56
C -4.04 1.09 -0.37
C -1.89 4.02 -1.24
H -1.11 3.56 -1.86
H -1.39 4.59 -0.44
H -2.44 4.73 -1.87
C -3.44 4.25 1.51
H -2.99 5.13 1.04
H -2.85 4.00 2.40
H -4.45 4.52 1.85
C -5.09 1.61 1.92
H -5.51 2.52 2.37
H -4.50 1.10 2.70
H -5.92 0.95 1.64
C -4.65 -0.24 -0.57
H -5.71 -0.22 -0.28
H -4.15 -1.00 0.06
H -4.58 -0.56 -1.61
C -2.62 1.23 -2.53
H -3.08 1.76 -3.38
H -2.85 0.16 -2.64
H -1.53 1.35 -2.62
C 3.41 -1.36 0.10
C 2.95 -0.40 -0.89
C 2.06 -0.62 -2.07
C 0.54 -0.41 -1.81
C 0.14 -1.21 -0.56
C 0.77 -2.53 -0.57
C 1.81 -3.25 0.24
C 3.30 -2.83 -0.12
H 2.18 -1.64 -2.44
H 0.02 -0.84 -2.68
H 2.41 0.06 -2.85
H 3.55 -3.08 -1.17
H 4.21 -1.00 0.75
H 3.71 0.39 -1.13
H 3.96 -3.36 0.58
H 1.71 -3.11 1.35
H 0.63 -3.04 -1.58
H 1.67 -4.32 0.14
H 0.25 0.64 -1.77
H -0.91 -1.04 -0.27
P 4.33 2.56 -1.74
C 5.85 2.03 -0.93
C 3.77 2.82 -3.43
P -0.69 -4.65 -1.62
C 3.11 2.48 -0.57
C 0.46 -6.07 -1.66
C -1.22 -4.85 0.12
H 5.70 1.81 0.15
H 6.47 2.93 -1.06
H 6.30 1.15 -1.43
H 2.76 2.43 -3.66
H 4.50 2.42 -4.15
H 3.78 3.93 -3.44
H -0.62 -5.58 0.68
H -2.29 -5.12 0.15
H -1.09 -3.85 0.54
H 2.04 2.41 -0.74
H 3.31 2.27 0.49
H 0.63 -6.55 -0.69
H 1.40 -5.65 -2.05
H 0.10 -6.83 -2.38
C 0.76 0.88 4.30
C 0.22 0.13 3.10
O 0.82 0.59 1.91
C 0.44 -1.38 3.34
F 0.05 -1.80 4.55
F -0.19 -2.19 2.40
F 1.81 -1.68 3.24
C -1.30 0.37 2.90
F -1.79 -0.26 1.79
F -2.06 -0.05 3.95
F -1.57 1.70 2.71
H 1.83 0.65 4.42
H 0.23 0.52 5.19
H 0.62 1.95 4.18
*
```

Computed, not measured: a structure of composition C27H45AsCrN3OSi3 in a non-equilibrium geometry, with ωB97M-V/def2-TZVPD.

Output
- HOMO (alpha / beta): -13.92 / -13.21 eV